We have investigated the dipole charge- and spin-density response of few-electron two-dimensional concentric nanorings as a function of the intensity of a erpendicularly applied magnetic field. We show that the dipole response displays signatures associated with the localization of electron states in the inner and outer ring favored by the perpendicularly applied magnetic field. Electron localization produces a more fragmented spectrum due to the appearance of additional edge excitations in the inner and outer ring.
The interplay between Rashba, Dresselhaus, and Zeeman interactions in a quantum well submitted to an external magnetic field is studied by means of an accurate analytical solution of the Hamiltonian, including electron-electron interactions in a sum-rule approach. This solution allows us to discuss the influence of the spin-orbit coupling on some relevant quantities that have been measured in inelastic light scattering and electron-spin resonance experiments on quantum wells. In particular, we have evaluated the spin-orbit contribution to the spin splitting of the Landau levels and to the splitting of charge- and spin-density excitations. We also discuss how the spin-orbit effects change if the applied magnetic field is tilted with respect to the direction perpendicular to the quantum well.
We report experimental studies and suggest a quantitative model of spin relaxation in Mn12 acetate in a pulsed magnetic field in the temperature range 1.95.0 K. When the field applied along the anisotropy axis is swept at 140 T/s through a nonmagnetized Mn12 acetate sample, the samples magnetization switches, within a few milliseconds, from zero to saturation at a well-defined field whose value depends on temperature but is quantized in units of 0.46 T. A quantitative explanation of the effect is given in terms of a spin-phonon avalanche combined with thermally assisted resonant spin tunneling.
In this paper we discuss both theoretical and experimental results on the time dependence of the heat capacity of oriented Mn12 magnetic clusters when a magnetic field is applied along their easy axis. Our calculations are based on the existence of two contributions. The first one is associated with the thermal populations of the 21 different Sz levels in the two potential wells of the magnetic uniaxial anisotropy and the second one is related to the transitions between the Sz levels. We compare our theoretical predictions with experimental data on the heat capacity for different resolution times at different fields and temperatures.
Attached: data records:
Computed, not measured: a relaxed structure of Na6H5Br at the PBE level of DFT.

Calculated values
Energy = -2.58 eV/atom
Density of states at the Fermi level = 0.00 states/eV/atom
Crystal system = monoclinic
Space group = C2/m (12)

Cell lengths 6.2791, 6.2791, 6.1920 Å; angles 99.52, 99.52, 120.19 degrees
Element x y z (fractional)
Na  0.0375  0.4109  0.7444
Na  0.2244  0.2244  0.2790
Na  0.4109  0.0375  0.7444
Na  0.5891  0.9625  0.2556
Na  0.7756  0.7756  0.7210
Na  0.9625  0.5891  0.2556
H  0.0000  0.0000  0.5000
H  0.1672  0.8328  0.0000
H  0.3282  0.6718  0.5000
H  0.6718  0.3282  0.5000
H  0.8328  0.1672  0.0000
Br  0.5000  0.5000  0.0000

---

Computed, not measured: a relaxed structure of MnBeCr2 at the PBE level of DFT.

Calculated values
Energy relative to the elements = 91 meV/atom
Density of states at the Fermi level = 0.83 states/eV/atom
Crystal system = orthorhombic
Space group = Pmmm (47)

Cell lengths 2.3975, 3.7677, 4.7428 Å; angles 90.00, 90.00, 90.00 degrees
Element x y z (fractional)
Mn  0.0000  0.0000  0.0000
Be  0.0000  0.0000  0.5000
Cr  0.5000  0.5000  0.2601
Cr  0.5000  0.5000  0.7399

---

Computed, not measured: a relaxed structure of Er5Fe2Au2 at the PBE level of DFT.

Calculated values
Energy relative to the elements = -397 meV/atom
Density of states at the Fermi level = 1.02 states/eV/atom
Crystal system = orthorhombic
Space group = Cmce (64)

Cell lengths 8.6823, 8.6823, 7.2015 Å; angles 90.00, 90.00, 48.55 degrees
Element x y z (fractional)
Er  0.0000  0.0000  0.0000
Er  0.0485  0.6914  0.6787
Er  0.1914  0.5485  0.1787
Er  0.3086  0.9515  0.6787
Er  0.4515  0.8086  0.1787
Er  0.5000  0.5000  0.5000
Er  0.5485  0.1914  0.8213
Er  0.6914  0.0485  0.3213
Er  0.8086  0.4515  0.8213
Er  0.9515  0.3086  0.3213
Fe  0.1064  0.8936  0.3919
Fe  0.3936  0.6064  0.8919
Fe  0.6064  0.3936  0.1081
Fe  0.8936  0.1064  0.6081
Au  0.2154  0.2154  0.0000
Au  0.2846  0.2846  0.5000
Au  0.7154  0.7154  0.5000
Au  0.7846  0.7846  0.0000

---

Computed, not measured: a relaxed structure of Ca2MgHgH at the PBE level of DFT.

Calculated values
Energy = -2.19 eV/atom
Density of states at the Fermi level = 0.33 states/eV/atom
Crystal system = tetragonal
Space group = P4/mmm (123)

Cell lengths 5.0045, 5.0045, 4.3485 Å; angles 90.00, 90.00, 90.00 degrees
Element x y z (fractional)
Ca  0.0000  0.5000  0.0000
Ca  0.5000  0.0000  0.0000
Mg  0.0000  0.0000  0.5000
Hg  0.5000  0.5000  0.5000
H  0.0000  0.0000  0.0000

---

Computed, not measured: a relaxed structure of VZn3Se at the PBE level of DFT.

Calculated values
Energy = -2.39 eV/atom
Density of states at the Fermi level = 1.41 states/eV/atom
Crystal system = cubic
Space group = Pm-3m (221)

Cell lengths 4.9761, 4.9761, 4.9761 Å; angles 90.00, 90.00, 90.00 degrees
Element x y z (fractional)
V  0.0000  0.0000  0.0000
Zn  0.0000  0.0000  0.5000
Zn  0.0000  0.5000  0.0000
Zn  0.5000  0.0000  0.0000
Se  0.5000  0.5000  0.5000

---
We present an experimental study of the premartensitic and martensitic phase transitions in a Ni2MnGa single crystal by using ultrasonic techniques. The effect of applied magnetic field and uniaxial compressive stress has been investigated. It has been found that they substantially modify the elastic and magnetic behavior of the alloy. These experimental findings are a consequence of magnetoelastic effects. The measured magnetic and vibrational behavior agrees with the predictions of a recently proposed Landau-type model [A. Planes et al., Phys. Rev. Lett. 79, 3926 (1997)] that incorporates a magnetoelastic coupling as a key ingredient.
The elastic moduli of vortex crystals in anisotropic superconductors are frequently involved in the investigation of their phase diagram and transport properties. We provide a detailed analysis of the harmonic eigenvalues (normal modes) of the vortex lattice for general values of the magnetic field strength, going beyond the elastic continuum regime. The detailed behavior of these wave-vector-dependent eigenvalues within the Brillouin zone (BZ), is compared with several frequently used approximations that we also recalculate. Throughout the BZ, transverse modes are less costly than their longitudinal counterparts, and there is an angular dependence which becomes more marked close to the zone boundary. Based on these results, we propose an analytic correction to the nonlocal continuum formulas which fits quite well the numerical behavior of the eigenvalues in the London regime. We use this approximate expression to calculate thermal fluctuations and the full melting line (according to Lindeman's criterion) for various values of the anisotropy parameter.
We investigate chaotic, memory, and cooling rate effects in the three-dimensional Edwards-Anderson model by doing thermoremanent (TRM) and ac susceptibility numerical experiments and making a detailed comparison with laboratory experiments on spin glasses. In contrast to the experiments, the Edwards-Anderson model does not show any trace of reinitialization processes in temperature change experiments (TRM or ac). A detailed comparison with ac relaxation experiments in the presence of dc magnetic field or coupling distribution perturbations reveals that the absence of chaotic effects in the Edwards-Anderson model is a consequence of the presence of strong cooling rate effects. We discuss possible solutions to this discrepancy, in particular the smallness of the time scales reached in numerical experiments, but we also question the validity of the Edwards-Anderson model to reproduce the experimental results.
High-sensitivity electron paramagnetic resonance experiments have been carried out in fresh and stressed Mn12 acetate single crystals for frequencies ranging from 40 GHz up to 110 GHz. The high number of crystal dislocations formed in the stressing process introduces a E(Sx2-Sy2) transverse anisotropy term in the spin Hamiltonian. From the behavior of the resonant absorptions on the applied transverse magnetic field we have obtained an average value for E=22 mK, corresponding to a concentration of dislocations per unit cell of c=10-3.
• Inserted here: calculated crystals:
____________
# Tb2Y3NpN6 (PBE-GGA, optimized geometry)
data_Tb2Y3NpN6
_chemical_formula_sum 'Tb4 Y6 Np2 N12'
_cell_length_a 6.010
_cell_length_b 10.416
_cell_length_c 6.003
_cell_angle_alpha 90.00
_cell_angle_beta 109.45
_cell_angle_gamma 90.00
_space_group_name_H-M_alt 'C 1 2/m 1'
_space_group_IT_number 12
loop_
_space_group_symop_operation_xyz
'x,y,z'
'-x,-y,-z'
'-x,y,-z'
'x,-y,z'
'x+1/2,y+1/2,z'
'-x+1/2,-y+1/2,-z'
'-x+1/2,y+1/2,-z'
'x+1/2,-y+1/2,z'
loop_
_atom_site_label
_atom_site_type_symbol
_atom_site_fract_x
_atom_site_fract_y
_atom_site_fract_z
_atom_site_occupancy
Tb1 Tb 0.000 0.167 0.000 1
Y1 Y 0.000 0.000 0.500 1
Y2 Y 0.000 0.332 0.500 1
Np1 Np 0.000 0.500 0.000 1
N1 N 0.236 0.500 0.761 1
N2 N 0.240 0.341 0.243 1
# Calculated total energy = -221.39 eV per cell
# DOS at the Fermi energy = 7.41 states/eV/f.u.
# ΔE_f (raw) = -1848 kJ/mol of formula units

# ScBe3Sn (PBE-GGA, optimized geometry)
data_ScBe3Sn
_chemical_formula_sum 'Sc1 Be3 Sn1'
_cell_length_a 4.526
_cell_length_b 4.526
_cell_length_c 4.526
_cell_angle_alpha 90.00
_cell_angle_beta 90.00
_cell_angle_gamma 90.00
_space_group_name_H-M_alt 'P m -3 m'
_space_group_IT_number 221
_space_group_name_Hall '-P 4 2 3'
loop_
_atom_site_label
_atom_site_type_symbol
_atom_site_fract_x
_atom_site_fract_y
_atom_site_fract_z
_atom_site_occupancy
Sc1 Sc 0.000 0.000 0.000 1
Be1 Be 0.000 0.500 0.500 1
Sn1 Sn 0.500 0.500 0.500 1
# Formation enthalpy at 0 K = 4.9 eV per formula unit
# Calculated total energy = -16.57 eV per cell
# DOS at the Fermi energy = 2.34 states/eV/f.u.
# Energy relative to the lowest polymorph listed for this composition = 0 meV per atom

# Nd3OsBr2 (PBE-GGA, optimized geometry)
data_Nd3OsBr2
_chemical_formula_sum 'Nd12 Os4 Br8'
_cell_length_a 8.139
_cell_length_b 12.754
_cell_length_c 7.189
_cell_angle_alpha 90.00
_cell_angle_beta 110.44
_cell_angle_gamma 90.00
_space_group_name_H-M_alt 'C 1 2/c 1'
_space_group_IT_number 15
loop_
_space_group_symop_operation_xyz
'x,y,z'
'-x,-y,-z'
'-x,y,-z+1/2'
'x,-y,z+1/2'
'x+1/2,y+1/2,z'
'-x+1/2,-y+1/2,-z'
'-x+1/2,y+1/2,-z+1/2'
'x+1/2,-y+1/2,z+1/2'
loop_
_atom_site_label
_atom_site_type_symbol
_atom_site_fract_x
_atom_site_fract_y
_atom_site_fract_z
_atom_site_occupancy
Nd1 Nd 0.191 0.070 0.002 1
Nd2 Nd 0.250 0.250 0.500 1
Os1 Os 0.000 0.097 0.250 1
Br1 Br 0.000 0.269 0.750 1
Br2 Br 0.000 0.425 0.250 1
# Calculated total energy = -135.74 eV per cell
# DOS at the Fermi energy = 4.26 states/eV/f.u.
# Energy relative to the lowest polymorph listed for this composition = 10 meV per atom
# ΔE_f (raw) = -488 kJ/mol of formula units

# Sr2As3Pd6 (PBE-GGA, optimized geometry)
data_Sr2As3Pd6
_chemical_formula_sum 'Sr2 As3 Pd6'
_cell_length_a 7.5552
_cell_length_b 7.5552
_cell_length_c 4.4349
_cell_angle_alpha 90.00
_cell_angle_beta 90.00
_cell_angle_gamma 120.00
_space_group_name_H-M_alt 'P -6 2 m'
_space_group_IT_number 189
_space_group_name_Hall 'P -6 -2'
loop_
_atom_site_label
_atom_site_type_symbol
_atom_site_fract_x
_atom_site_fract_y
_atom_site_fract_z
____________
We report an optical limiter based on ferrofluids which has a very high shelf life and remarkable thermal stability, which are important requirements for sustainable use with intense lasers. The colloidal suspensions contain nanosized particles of approximately 80 Å diameter, with a number density of the order of 1022 /m3. The nonlinear optical transmission of the samples is studied using nanosecond and femtosecond laser pulses. Excited state absorption phenomena contribute to enhanced limiting in the nanosecond excitation regime. An advantageous feature of ferrofluids in terms of device applications is that their optical properties are controllable by an external magnetic field.
Magnetic heterostructures with carbon nanotubes having multiple functionalities are fascinating materials which can be manipulated by means of an external magnetic field. In this paper we report our investigations on the synthesis and optical limiting properties of pristine cobalt nanotubes and high coercivity cobalt-in-carbon nanotubes (a new nanosystem where carbon nanotubes are filled with cobalt nanotubes). A general mobility assisted growth mechanism for the formation of one-dimensional nanostructures inside nanopores is verified in the case of carbon nanotubes. The open-aperture z-scan technique is employed for the optical limiting measurements in which nanosecond laser pulses at 532 nm have been used for optical excitation. Compared to the benchmark pristine carbon nanotubes these materials show an enhanced nonlinear optical absorption, and the nonlinear optical parameters calculated from the data show that these materials are efficient optical limiters. To the best of our knowledge this is the first report where the optical limiting properties of metal nanotubes are compared to those of carbon nanotubes
Co–Fe–Si based films exhibit high magnetic moments and are highly sought after for applications like soft under layer sinper pendicular recording mediatomagneto-electro-mechanical sensor applications.In this workt he effect of annealing on s tructural,morphologicaland magnetic propertiesofco–Fe–Si thin films wasinvestigated.compositional analysis using x-rayphotoelectron spectroscopy and secondary ion massspectroscopyrevealedanativeoxidesurfacelayerconsistingofoxidesofco,feandsionthe surface. The morphology of theas deposited films shows mound like structures conformingtothe Volmer–Webergrowthmodel.Nanocrystallisationofamorphous films upon annealing was observed by glancing anglex-raydiffraction and transmission electron microscopy.Theevolutionofmagnetic properties with annealing is explained using the Herzermodel.Vibrating sample magnetometry measurements carried out at various angles from01 to 901 to the applied magnetic field were employed to study the angula rvariation of coercivity.The angular variation fits the modified Kondorsky model. Interestingly,the coercivity evolution with annealing deduced frommagneto-opticalKerreffectstudies indicates areversetrendcomparedtomagetisationobservedinthebulk.Thiscanbeattributedtoa domain wallpinningatnativeoxidelayeronthesurfaceofthin films. Theevolutionofsurfacemagnetic properties iscorrelatedwithmorphologyevolutionprobedusingatomicforcemicroscopy.The morphology aswellasthepresenceofthenativeoxidelayerdictatesthesurfacemagneticproperties and this is corroborated by the apparent difference in the bulk and surface magnetic properties
The magnetic properties of amorphous Fe–Ni–B based metallic glass nanostructures were investigated. The nanostructures underwent a spin-glass transition at temperatures below 100 K and revealed an irreversible temperature following the linear de Almeida–Thouless dependence. When the nanostructures were cooled below 25 K in a magnetic field, they exhibited an exchange bias effect with enhanced coercivity. The observed onset of exchange bias is associated with the coexistence of the spin-glass phase along with the appearance of another spin-glass phase formed by oxidation of the structurally disordered surface layer, displaying a distinct training effect and cooling field dependence. The latter showed a maximum in exchange bias field and coercivity, which is probably due to competing multiple equivalent spin configurations at the boundary between the two spin-glass phases
Lead free magneto electrics with a strong sub resonant (broad frequency range) magneto electric coupling coefficient (MECC) is the goal of the day which can revolutionise the microelectronics and microelectromechanical systems (MEMS) industry. We report giant resonant MECC in lead free nanograined Barium Titanate–CoFe (Alloy)-Barium Titanate [BTO-CoFe-BTO] sandwiched thin films. The resonant MECC values obtained here are the highest values recorded in thin films/ multilayers. Sub-resonant MECC values are quite comparable to the highest MECC reported in 2-2 layered structures. MECC got enhanced by two orders at a low frequency resonance. The results show the potential of these thin films for transducer, magnetic field assisted energy harvesters, switching devices, and storage applications. Some possible device integration techniques are also discussed
Digitales stochastisches Magnetfeld-Sensorarray Stefan Rohrer Im Rahmen eines mehrjährigen Forschungsprojektes, gefördert von der Deutschen Forschungsgesellschaft (DFG), wurden am Institut für Mikroelektronik (IPM) der Universität Kassel digitale Magnetfeldsensoren mit einer Breite bis zu 1 µm entwickelt. Die vorliegende Dissertation stellt ein aus diesem Forschungsprojekt entstandenes Magnetfeld-Sensorarray vor, das speziell dazu entworfen wurde, um digitale Magnetfelder schnell und auf minimaler Fläche mit einer guten räumlichen und zeitlichen Auflösung zu detektieren. Der noch in einem 1,0µm-CMOS-Prozess gefertigte Test-Chip arbeitet bis zu einer Taktfrequenz von 27 MHz bei einem Sensorabstand von 6,75 µm. Damit ist er das derzeit kleinste und schnellste digitale Magnetfeld-Sensorarray in einem Standard-CMOS-Prozess. Konvertiert auf eine 0,09µm-Technologie können Frequenzen bis 1 GHz erreicht werden bei einem Sensorabstand von unter 1 µm. In der Dissertation werden die wichtigsten Ergebnisse des Projekts detailliert beschrieben. Basis des Sensors ist eine rückgekoppelte Inverter-Anordnung. Als magnetfeldsensitives Element dient ein auf dem Hall-Effekt basierender Doppel-Drain-MAGFET, der das Verhalten der Kippschaltung beeinflusst. Aus den digitalen Ausgangsdaten kann die Stärke und die Polarität des Magnetfelds bestimmt werden. Die Gesamtanordnung bildet einen stochastischen Magnetfeld-Sensor. In der Arbeit wird ein Modell für das Kippverhalten der rückgekoppelten Inverter präsentiert. Die Rauscheinflüsse des Sensors werden analysiert und in einem stochastischen Differentialgleichungssystem modelliert. Die Lösung der stochastischen Differentialgleichung zeigt die Entwicklung der Wahrscheinlichkeitsverteilung des Ausgangssignals über die Zeit und welche Einflussfaktoren die Fehlerwahrscheinlichkeit des Sensors beeinflussen. Sie gibt Hinweise darauf, welche Parameter für das Design und Layout eines stochastischen Sensors zu einem optimalen Ergebnis führen. Die auf den theoretischen Berechnungen basierenden Schaltungen und Layout-Komponenten eines digitalen stochastischen Sensors werden in der Arbeit vorgestellt. Aufgrund der technologisch bedingten Prozesstoleranzen ist für jeden Detektor eine eigene kompensierende Kalibrierung erforderlich. Unterschiedliche Realisierungen dafür werden präsentiert und bewertet. Zur genaueren Modellierung wird ein SPICE-Modell aufgestellt und damit für das Kippverhalten des Sensors eine stochastische Differentialgleichung mit SPICE-bestimmten Koeffizienten hergeleitet. Gegenüber den Standard-Magnetfeldsensoren bietet die stochastische digitale Auswertung den Vorteil einer flexiblen Messung. Man kann wählen zwischen schnellen Messungen bei reduzierter Genauigkeit und einer hohen lokalen Auflösung oder einer hohen Genauigkeit bei der Auswertung langsam veränderlicher Magnetfelder im Bereich von unter 1 mT. Die Arbeit präsentiert die Messergebnisse des Testchips. Die gemessene Empfindlichkeit und die Fehlerwahrscheinlichkeit sowie die optimalen Arbeitspunkte und die Kennliniencharakteristik werden dargestellt. Die relative Empfindlichkeit der MAGFETs beträgt 0,0075/T. Die damit erzielbaren Fehlerwahrscheinlichkeiten werden in der Arbeit aufgelistet. Verglichen mit dem theoretischen Modell zeigt das gemessene Kippverhalten der stochastischen Sensoren eine gute Übereinstimmung. Verschiedene Messungen von analogen und digitalen Magnetfeldern bestätigen die Anwendbarkeit des Sensors für schnelle Magnetfeldmessungen bis 27 MHz auch bei kleinen Magnetfeldern unter 1 mT. Die Messungen der Sensorcharakteristik in Abhängigkeit von der Temperatur zeigen, dass die Empfindlichkeit bei sehr tiefen Temperaturen deutlich steigt aufgrund der Abnahme des Rauschens. Eine Zusammenfassung und ein ausführliches Literaturverzeichnis geben einen Überblick über den Stand der Technik.
The classical scattering cross section of two colliding nuclei at intermediate and relativistic energies is reevaluated. The influence of retardation and magnetic field effects is taken into account. Corrections due to electron screening as well as due to attractive nuclear forces are discussed. This paper represents an addendum to [l].